
ENK: Mirai Notes

The following events take place in an alternative Earth, approximately 70 years after the apparition of the physical alterations scientifically called UMA (Unknown Morphic Anomalies). Changing the human body and reshaping the concept of mankind. Humans with tails, horns, wings, claws, etc. were the consequences of the phenomenon called UMA. Although not being the same world; Cities, Nations and Continents remain the same with some minimal changes. Due to these peculiarities, some countries took measures that affected their overall structure and even their political affiliation. The number of people with physical mutations was bearable and inoffensive, people accepted them with ease. But 20 years later, dangerous new peculiarities started to appear. An extra-sensorial alteration that allowed humans, either with or without UMA, to have abilities such as: pyrokinesis, telekinesis or cryokinesis... between other elemental awarenesses. Their average control, power and stamina were minimal compared to an average police brigade, but one individual was worth a hundred in a battlefield with the right equipment. Many countries around the world set their eyes towards them, either trying to obtain or make use of their power. These cases of extra-sensorial abilities remained unknown to the public eye. Their numbers were a few thousands and didn't caused much of a threat, but since they were used by various states in military maneuvers, short time passed until their existence became a reality to the rest of the world. Public opinion was rough towards them compared to the average UMA. Xenophobic groups were impactful in some Nations. Terms such as 'morph' became depictions of the UMA definition, but extra-sensorial ability users never received a name, their powers became being called peculiarities after a pro movement of their rights in 1968. Currently 2% of the world has UMA and approximately a 0.0005% have mild special abilities. But for 20 years a new class of power was kept a secret amongst human civilization. The people in possession of these new attained powers became the main focus for the ones that knew about their existence. In consequence, governmental oppression against the average 'quirks' users became almost non-existent and a new name appeared for them, 'gifted'. The name these new individuals received was non other than 'blessed'. They couldn't be compared to humans, 'blessed' abilities far exceeded the average of a small control over elements. It is said that an individual with such type of 'quirk' could shake entire nations at its maximum control. Unfortunately, due to its immense power, they result in self-harm against their own wielders and other people, consequentially being discovered and enclosed for further experimentation on their limits and origin.  This sets up the story in the year 200X: Real historic events have no relation to the current story timeline, the only similarities revolve around the existence of two Great World Wars, but not on how they happened. Fifteen years ago, the first official organization based around the perfection and mastery of those quirks was created. With the use of swordsmanship as a tool of meditation and self-defense, the users were able to differ themselves from their own destructive "blessing" and learn a much deeper understanding about them. This organization is called Entaku no KISHI (円卓の騎士), meaning, The Knights of the Round Table. Their members perform missions around the world with their main goal of rescuing and protecting enslaved 'blessed'. Once their job is done, they may grant people the opportunity to join them and become new members of the KISHI or help them return to the normal lives they once had.

Alekai · Fantasy
Not enough ratings
15 Chs


[main character: Lilly]

I woke up and got ready to start classes. There was nobody having breakfast at that time. Moments later, I realized that I woke up too early. With nobody around me, I decided to go the room where we were supposed to take classes and waited there.

I guess I was too excited to start...

I wonder what they would teach me here and who is Hadoc that Kay told me about.

???: Just wait here young man.

¿¿¿: But it's a bit early... can I go see...

???: You can revise these past lectures in peace. Come on!

¿¿¿: Yes sir!

Somebody is coming.

That voice...

- Shion?

SHION: Lilly?

-- The entry is interrupted by records of crystals --
+++
Hf2Co7 | PBE-GGA | optimized geometry

Calculated values
**Size of the total moment**: 14.87 Bohr magnetons per cell
**Uncorrected energy**: -143.563 eV/cell

```
Hf2Co7
1.0
-2.5345 3.4454 -2.1297
-2.1392 -0.8488 -4.1874
-11.2789 -2.7613 3.5956
Co Hf
14 4
Direct
0.7223 0.7223 0.8330
0.3898 0.3898 0.8307
0.3872 0.3872 0.3331
0.5000 0.0000 0.0000
0.1075 0.6128 0.6669
0.0000 0.5000 0.0000
0.8925 0.3872 0.3331
0.6128 0.6128 0.6669
0.3872 0.8925 0.3331
0.6128 0.1075 0.6669
0.6102 0.6102 0.1693
0.5000 0.5000 0.5000
0.5000 0.5000 0.0000
0.2777 0.2777 0.1670
0.8526 0.8526 0.4422
0.0508 0.0508 0.8477
0.9492 0.9492 0.1523
0.1474 0.1474 0.5578
```

***

ZnGa4Sn | PBE-GGA | optimized geometry

Calculated values
**Size of the total moment**: 0.00 Bohr magnetons per cell
**Uncorrected energy**: -16.949 eV/cell

```
ZnGa4Sn
1.0
-3.7649 -3.0000 -1.1020
4.4826 -1.8806 0.8708
-1.2746 -0.4520 5.5849
Sn Ga Zn
1 4 1
Direct
0.0000 0.0000 0.5000
0.6667 0.3333 0.7573
0.3333 0.6667 0.2427
0.6667 0.3333 0.2427
0.3333 0.6667 0.7573
0.0000 0.0000 0.0000
```

***

AlPb3N3 | PBE-GGA | optimized geometry

Calculated values
**E_form (uncorrected)**: 0.07 eV per atom
**Size of the total moment**: 0.00 Bohr magnetons per cell
**Uncorrected energy**: -78.642 eV/cell

```
AlPb3N3
1.0
-1.8160 6.3716 -8.0031
0.0146 3.7188 9.7013
3.5604 0.6804 -0.2662
N Pb Al
6 6 2
Direct
0.8654 0.4647 0.7500
0.4647 0.5992 0.2500
0.5992 0.1346 0.7500
0.1346 0.5353 0.2500
0.4008 0.8654 0.2500
0.5353 0.4008 0.7500
0.3420 0.9725 0.7500
0.9725 0.6306 0.2500
0.6580 0.0275 0.2500
0.3694 0.3420 0.2500
0.0275 0.3694 0.7500
0.6306 0.6580 0.7500
0.3333 0.6667 0.2500
0.6667 0.3333 0.7500
```

***

Re3TcCl | PBE-GGA | optimized geometry

Calculated values
**E_form (uncorrected)**: 1.74 eV per atom
**Size of the total moment**: 1.31 Bohr magnetons per cell
**Uncorrected energy**: -40.848 eV/cell

```
Re3TcCl
1.0
-0.8932 -4.2009 -0.4377
2.4858 -0.1611 -3.5259
3.4147 -0.9816 2.4522
Tc Re Cl
1 3 1
Direct
0.5000 0.5000 0.5000
0.0000 0.5000 0.0000
0.0000 0.0000 0.5000
0.5000 0.0000 0.0000
0.0000 0.0000 0.0000
```

***

Li2Mg2Cr | PBE-GGA | optimized geometry

Calculated values
**Size of the total moment**: 0.03 Bohr magnetons per cell
**Uncorrected energy**: -27.178 eV/cell

```
Li2Mg2Cr
1.0
-1.7875 6.2882 -4.2088
-0.0146 -4.3275 -6.4593
-2.7051 -0.5281 0.3599
Cr Li Mg
2 4 4
Direct
0.0000 0.0000 0.0000
0.5000 0.5000 0.0000
0.1479 0.6479 0.5000
0.3521 0.1479 0.5000
0.6479 0.8521 0.5000
0.8521 0.3521 0.5000
0.6537 0.1537 0.0000
0.3463 0.8463 0.0000
0.8463 0.6537 0.0000
0.1537 0.3463 0.0000
```

***

Pr6Er4Tm | PBE-GGA | optimized geometry

Calculated values
**Size of the total moment**: 0.00 Bohr magnetons per cell
**Uncorrected energy**: -48.157 eV/cell

```
Pr6Er4Tm
1.0
-6.1226 -2.9289 -0.7964
0.8761 -3.4220 5.8499
-0.8574 9.3306 1.5952
Er Pr Tm
4 6 1
Direct
0.0624 0.0624 0.7758
0.7134 0.7134 0.7758
0.9376 0.2866 0.2242
0.2866 0.9376 0.2242
0.5000 0.0000 0.0000
0.4861 0.4861 0.3572
0.8711 0.8711 0.3572
+++

- Hi, nice to meet you and thank-.

SHION: When did you wake up!?

- Uhm... Yesterday...

SHION: What? And nobody told me?! I was looking forward on meeting you since you arrived, but I was so busy preparing myself for the classes that I didn't notice. I'm sorry.

- No. Don't apologize. By the way Shion...

SHION: What Lilly?

Should I hug him? I mean... maybe he is not an approachable person. He saved me, brought me here AND cared about me these past three days... I guess it's fine.

- THANK YOU SO MUCH! (hug) You guys freed me from that nightmare and also gave me something to care for after that. I will be always thankful about all you guys have done for me.

SHION: I... I... I don't know what to say.

- Don't worry. Let's learn lots of things together okay?


- I also wanted to meet you. When I woke up, Kay showed me how powerful she was. Are you an Entaku as well Shion?

SHION: Of course not! That's the reason I am taking these classes in the first place; it's to become one myself.

- Wow.

SHION: Yes but... I have no idea on what this training will have different from the one I did before...

He already "trained" before?

- Are you able to cut though bullets as well?

SHION: What?

- Nothing! I was wondering what kind of training you did before.

SHION: Oh! Well, my sister is the one that trained me since I was 9. Together we discovered how our powers worked and learned on how to use them in combat.

- I see...

He has my age so... does that mean he's been training for FIVE years on how to use his power and also combat? He is hundreds of steps ahead of me.

SHION: My sister Yui already knows about you. But I would like you to meet her. Maybe she can give you some tips on how to use you power. But... I guess Kay will be our trainer so...

- I am really excited on staring these new classes here. I will give it my best!

SHION: Me too!

As we started talking, a strange looking creature entered the room and started talking.

-What the...?

???: Well lady, AND gentleman, it seems that this year you are the only ones.

SHION: Really Sir!?

- Sir!? Who is this... person?

His head is like... I can't describe it. What is going on?

SHION: He will be our teacher, his name is Hadoc.

- Seriously?

SHION: His power is called Chimera Head, and well, his appearance is a bit unsettling.

- Oh! Excuse me Hadoc! I didn't want to-.

HADOC: Don't worry young woman, It's a common reaction.

I got a bit confused but now it makes sense. He seems to have only his head with a really strange shape. Interesting... I'm surely going to pay attention if I have to listen to him.

HADOC: Well everybody, let me explain you the plan of study: First, I will be teaching you basic knowledge of the world in the morning. In the afternoon, you will train with Kay on how to use your powers. You can consider this as a beginner level. Once we complete all lessons of this first level zero, your schedule will swap and then you will go to the main class that the training is set in the morning instead of the afternoon and vice versa.

- So, is everybody training here right now?

HADOC: No. Although this might be the headquarters, we have different places where we travel to. Shion was living in one of our training fields with his sister.

- Oh...

HADOC: Since you two accepted to learn here and become great Kishi, it will be provided to you many information about the organization itself. Remember! This information should be kept secret from the rest of the world, even the slightest leak could affect the future of this place.

I think that was obvious. I wasn't planning on doing so from the beginning.

HADOC: And with that said, Let's begin!

- Yes!

SHION: Yes Sir!

And then, the routine started. We learned about society at first, but after a couple of days, mathematics and languages started. Shion was actually a few years behind me in terms of common knowledge. There really wasn't anything new for me to learn on that 'level zero' classes.

Every afternoon, Kay explained us many different types of abilities that people had but didn't said their names. She helped us on discovering the fundamental activation of our power. Shion already knew what to do, but I still had to work really hard to find it. In addition to that, Kay made us run, practice hand to hand combat and many other exercises in order for us to become physically stronger.

All the process was extremely tiring, as Shion did with no effort every exercise Kay demanded, I was unable to keep up with that level. Although I started to feel demotivated, I kept on going because; while I had my difficulties doing my training, Shion had it worse. He had been doing extra morning and evening classes every single day just to reach my academic level (that was of a second year highschooler).

Weeks passed... and certain day arrived.

(Weeks Later)

HADOC: Well everyone. There is no need to do classes today.

SHION: Are you sure Sir?

HADOC: Yes! And also training.

- Why?

HADOC: Because today is a special day. Have fun.

- What day is it?

SHION: Sir! There is no need to go through all of this just for me.


HADOC: Haven't you told Lilly?

SHION: No... I don't think it's important...

- What Shion? Spit it out already. What is it?

SHION: Well... today is the day I was born.

- Today is your BIRTHDAY!?

SHION: Yes. But I don't think it matters that much. Many people's birthdays happen every now and then... and also...

- Are you stupid?

SHION: Ugh? Why?

- Hadoc! There is no need for us to stay in class today, right?

HADOC: Indeed.

- Okay, bye!

SHION: Lilly wait!

- Don't you dare follow me! We will meet at night, after dinner, in the training field!

SHION: What?

- Just do as I say!

SHION: Okay okay! I will.

I need a present!

Now that I think about it, my birthday is next month. We truly have the same age.

What can I give him? Even though he is always so kind with me, he doesn't smile... He feels so immersed into everything he does, but still...

ARGH! I have no idea! I should ask for advice.

As I was walking down the main hall, I saw a man with an strange wrapped long object in his back looking around in content. He seemed mature, but young.

- Hello?

???: Oh! This surely has changed! I'm impressed.

- Excuse me... Are you a Kishi as well?

???: A Kishi? That means you don't know me... okay, fair enough. You look really young, I guess that's why.

Who is this guy?

???: So if you don't know who I am that makes it easier for me. And yes, I am indeed part of this organization.

Okay so he is a Kishi. I guess that wrapped up in clothing thing is a sword.

Maybe he knows something about...

- Do you know who Shion is?

???: Yes of course! That little boy who Yui picked up a while ago.

Picked up?

???: Today is his birthday. He'll be 15, right?. That's a great age!

Does he know about Shion's birthday as well?

- I was thinking about the best present I could give to him. Do you have any idea on what he likes?

???: Uhm... Shion is not the materialistic type, neither is Yui.

- What can I do then?

???: Let me see.

He is getting closer to me... what is he...?

He is so close!

Once he was close enough, he patted my head and looked at me with a warm smile. Then stepped back and gave me the answer.

???: You are the only one who can fulfill Shion's wish.

- What wish?!

???: Hehehe... Should I tell you straight away? It's not interesting if I give you the answer straightaway.

Is he toying with me?

- Don't treat me like a child! I truly have no idea on what he likes. He speaks of what he endured and the learning he is doing, but never speaks about what he wants. Even though we spoke a lot I feel like I don't know him. Why?

???: I see you are both still alone.

- Alone?

???: Shion is way simpler than you think. He won't act a certain way with people if their conditions haven't been officially set, just like his sister.

Conditions? What is he... WAIT! Is he talking about...?

- Are you saying that he does not see me as a friend?

???: Oh! You are smarter than you look.

(angry face intensifies)

???: Sorry. Sorry. I'm surprised on how receptive you were.

- But we spent so much time together. Why he still thinks this way?

???: Do you think he doesn't want YOU as his friend?

- Do I really have too...

???: Yes. (smiles)

I am going right now to see him! That idiot. Seriously...

- Thank you so much. What's your name?

???: Your welcome. You can call me...

YUI: (yawns) Hello Lilly, what are you doing here?

- I should ask the same, how it is that you are awake?

YUI: I had to go to the... (yawns again) bathroom.

- I see, anyways do you know who...


- He is gone!

What's wrong with people and disappearing in this place?

- There was a guy here seconds ago! But he is not there anymore.

YUI: Ugh? (yawns) Maybe is just Gekiyaku doing her weird stuff again... well, goodnight, or good-morning, I don't care... bye, bye.

Her personality really does change during the day, when Shion presented her to me she was so intimidating and fearsome.

- Bye...

How strange. Why did he disappear? I couldn't get his name. Maybe we will meet again some other day.

For now. I need go to see Shion immediately. I swear I am going to punching him in the face.

As I started running, I reconsidered the option of punching him, I ended up discarding it.

Now that I think about it, I can run faster, and I am not tiring myself as much as before. I can see that the training is starting to take its effects.


I heard quick steps towards me.

Someone is coming... and Fast!

SHION: Lilly!!!



- Auch! Why were you going so fast? Argh! My head...

SHION: Are you hurt Lilly? I am so sorry. I thought you were in trouble and so I rushed as fast as I could...

- Why...


- Why are you acting like this?

SHION: What do mean?

- You act like if we didn't know each other as much as we do.

### Here the page breaks off for data records
____________
VASP calculation (PBE-GGA) on crystalline GaMoPd3 at its relaxed geometry.

abc: 4.830 4.830 4.830
angles: 90.00 90.00 90.00
Space group Pm-3m (No. 221)
Symmetry-distinct sites (fractional):
Ga 0.000 0.000 0.000 (multiplicity 1)
Mo 0.500 0.500 0.500 (multiplicity 1)
Pd 0.000 0.500 0.500 (multiplicity 3)

E above lowest polymorph = 0.332 eV per atom
Raw total energy = -24.33 eV for the cell shown

VASP calculation (PBE-GGA) on crystalline GaMoPd3 at its relaxed geometry.

abc: 4.596 4.596 4.596
angles: 90.00 90.00 90.00
Space group Pm-3m (No. 221)
Symmetry-distinct sites (fractional):
Ga 0.000 0.000 0.000 (multiplicity 1)
Mo 0.500 0.500 0.500 (multiplicity 1)
Pd 0.000 0.000 0.500 (multiplicity 3)

E above lowest polymorph = 0.000 eV per atom
Raw total energy = -25.99 eV for the cell shown

VASP calculation (PBE-GGA) on crystalline Ga2Mo2Pd at its relaxed geometry.

abc: 6.559 6.559 3.591
angles: 90.00 90.00 90.00
Space group P4/mbm (No. 127)
Symmetry-distinct sites (fractional):
Ga 0.133 0.367 0.000 (multiplicity 4)
Mo 0.170 0.670 0.500 (multiplicity 4)
Pd 0.000 0.000 0.000 (multiplicity 2)

Raw total energy = -65.85 eV for the cell shown

VASP calculation (PBE-GGA) on crystalline Ga2MoPd at its relaxed geometry.

abc: 4.303 4.303 3.249
angles: 90.00 90.00 90.00
Space group P4/mmm (No. 123)
Symmetry-distinct sites (fractional):
Ga 0.000 0.500 0.000 (multiplicity 2)
Mo 0.000 0.000 0.500 (multiplicity 1)
Pd 0.500 0.500 0.500 (multiplicity 1)

Raw total energy = -23.25 eV for the cell shown

| no. | calculated density (kg/m3) | calculated formation energy (eV/atom) | total magnetization (μB/f.u.) |
| --- | --- | --- | --- |
| 1 | 7147 | 1.021 | 0.000 |
| 2 | 8297 | 0.689 | 4.435 |
| 3 | 9411 | -0.003 | 0.000 |
| 4 | 9436 | -0.294 | 0.000 |

* * * * *

The following is a DFT calculation (PBE-GGA) of crystalline ScAlZnI2 at its relaxed geometry. Values from VASP.

The total magnetic moment is 1.34 μB/cell. As for the uncorrected formation energy: 0.465 eV/atom. The value obtained for the density of states at the Fermi level is 1.0926 states/eV per atom. As for the space group: P4/mmm (123).

Quantum ESPRESSO input file:
```
&SYSTEM
  ibrav = 0, nat = 5, ntyp = 4
/
ATOMIC_SPECIES
Sc 44.96 Sc.upf
I 126.90 I.upf
Zn 65.41 Zn.upf
Al 26.98 Al.upf
CELL_PARAMETERS angstrom
-0.8149 -2.9412 -4.7455
0.9548 -4.5191 2.6369
-5.4904 -0.4479 1.2204
ATOMIC_POSITIONS angstrom
Sc 0.4774 -2.2596 1.3185
I -0.4075 -1.4706 -2.3727
I -2.7452 -0.2239 0.6102
Zn 0.0000 0.0000 0.0000
Al -2.6753 -3.9541 -0.4441
```

* * * * *

[1]
Entry from Alexandria: Na5Tl4Ga after structural relaxation (PBE).

Output
energy of formation	-0.090	eV per atom
D(E_F)	9.07	states/eV/cell
crystal system	monoclinic
energy	-2.00	eV/atom

Cell lengths 17.5767, 5.1624, 6.6460 Å; angles 90.00, 111.52, 90.00 degrees
Closest atoms and distances in Å follow each position.
Space group C2/m (No. 12)
Asymmetric unit:
Na: 0.0000 0.0000 0.0000 x2  2 Ga 3.32, 6 Na 3.44-3.55, 4 Tl 3.55
____________

SHION: ...

- And I already have your birthday present. Sorry, I couldn't wait.

SHION: My present?

- I, Lilly García! Will be officially your friend! Are you okay with that!?


- You are just an idiot sometimes... You can run for hours without tiring yourself, able to jump over twenty meters high, activate your power at will, but then...

SHION: I didn't want to mess it up.

- Mess it up? How?

SHION: I already tried becoming friends with the people in here, but it seems that my enthusiastic and naive intentions made me fail every time. Even I lost consciousness once!

Oh, okay...

- But still. Even if you didn't want to directly become my friend, I thought it was clear from the beginning when I hugged you.

SHION: No one ever hugged me like that before. I didn't know what it meant. But I understand now.


SHION: Thank you so much.

- (smile)

After that, we became real friends. He started to open up as a person to me. That same day, Shion brought me to the river near the garden. We spoke for hours about our past lives and I remembered how I used to live back home, well, my past home. For the rest of the day, I asked him to teach me some of his combat moves.

(More Weeks Later)

Time passed until my birthday arrived. The same situation happened, there were no classes that day, but instead:

HADOC: Lilly.

- Yes Sir?

HADOC: Go see Kay, she wanted to talk with you.

SHION: Don't worry, I am sure it's good news. And, again, Congratulations.

== Materials data, as found in the file ==
'''
[1]
DFT (PBE) results for crystalline K4Pu3PaS8 at its relaxed geometry.

Values from the calculation:
- ΔE_f (raw) (eV per atom) = -1.601
- E (eV per atom) = -7.22
- total moment (μB/f.u.) = 17.0

Unit cell a=8.2175 b=8.2175 c=22.0532 alpha=90.00 beta=90.00 gamma=120.00
Space group R-3m (No. 166, hexagonal axes)
Symmetry-distinct sites (fractional):
K: 0.0000 0.0000 0.0000
K: 0.0000 0.5000 0.0000
Pu: 0.0000 0.5000 0.5000
Pa: 0.0000 0.0000 0.5000
S: 0.0000 0.0000 0.2335
S: 0.0096 0.5048 0.2338

---

[2]
DFT (PBE) results for crystalline ZrCdOs2 at its relaxed geometry.

Values from the calculation:
- E (eV per atom) = -7.14
- ΔH_f (0 K) (eV/atom) = 0.84
- total moment (μB/f.u.) = 0.0

Unit cell a=7.464 b=7.464 c=5.473 alpha=90.00 beta=90.00 gamma=90.00
Space group I-42d (No. 122)
Symmetry-distinct sites (fractional):
Zr: 0.000 0.000 0.000
Cd: 0.000 0.000 0.500
Os: 0.241 0.750 0.125

---

[3]
DFT (PBE) results for crystalline Ac4Te2PRh at its relaxed geometry.

Values from the calculation:
- ΔE_f (raw) (eV per atom) = -1.296
- E (eV per atom) = -5.73
- total moment (μB/f.u.) = 0.0

Unit cell a=7.868 b=4.461 c=8.183 alpha=90.00 beta=107.48 gamma=90.00
Space group P2/m (No. 10)
Symmetry-distinct sites (fractional):
Ac: 0.234 0.000 0.213
Ac: 0.254 0.500 0.787
Te: 0.000 0.000 0.500
Te: 0.500 0.500 0.500
P: 0.500 0.000 0.000
Rh: 0.000 0.500 0.000

---

[4]
DFT (PBE) results for crystalline LaCeP at its relaxed geometry.

Values from the calculation:
- E (eV per atom) = -6.28
- ΔH_f (0 K) (eV/atom) = -0.86
- total moment (μB/f.u.) = 2.1

Unit cell a=4.0234 b=4.0234 c=6.7378 alpha=90.00 beta=90.00 gamma=120.00
Space group P3m1 (No. 156)
Symmetry-distinct sites (fractional):
La: 0.0000 0.0000 0.0000
Ce: 0.6667 0.3333 0.4980
P: 0.3333 0.6667 0.7387

---

[5]
DFT (PBE) results for crystalline La3AuO at its relaxed geometry.

Values from the calculation:
- ΔE_f (raw) (eV per atom) = -1.434
- E (eV per atom) = -6.04
- total moment (μB/f.u.) = 0.0

Unit cell a=7.031 b=7.052 c=7.090 alpha=60.25 beta=61.47 gamma=61.20
Space group P-1 (No. 2)
Symmetry-distinct sites (fractional):
La: 0.196 0.303 0.180
La: 0.259 0.725 0.275
La: 0.295 0.831 0.706
Au: 0.256 0.272 0.731
O: 0.000 0.000 0.500
O: 0.500 0.500 0.000

---

[6]
DFT (PBE) results for crystalline Cs5Al2Sb5 at its relaxed geometry.

Values from the calculation:
- ΔE_f (raw) (eV per atom) = -0.291
- E (eV per atom) = -2.99
- total moment (μB/f.u.) = 0.0

Unit cell a=19.029 b=4.567 c=12.285 alpha=90.00 beta=90.80 gamma=90.00
Space group C2/m (No. 12)
Symmetry-distinct sites (fractional):
Cs: 0.000 0.000 0.000
Cs: 0.156 0.000 0.414
Cs: 0.193 0.500 0.852
Al: 0.024 0.500 0.268
Sb: 0.000 0.500 0.500
Sb: 0.055 0.000 0.681
Sb: 0.141 0.500 0.162

---

[7]
DFT (PBE) results for crystalline HgBTeN2 at its relaxed geometry.

Values from the calculation:
- ΔE_f (raw) (eV per atom) = 1.808
- E (eV per atom) = -3.55
- total moment (μB/f.u.) = 0.4

Unit cell a=3.744 b=3.744 c=5.302 alpha=90.00 beta=90.00 gamma=90.00
'''
== The article goes on ==

- You don't need to be saying that all day.

SHION: I just want to make sure that today is a special day... (smiles)

- Pff! Hahaha, you are so dumb sometimes, you now that?

SHION: Hahaha... come on, go see Kay already.

- Okay, Bye Hadoc!

HADOC: Bye young woman.

I wonder what Kay has to say today, she might be training everyone outside or...

KAY: Hey Lilly! Congratulations!

- Thank you so much!

KAY: Did Shion tell you something?

- No. Except for the fact that he repeated "congratulations" at the end of each sentence since we saw each other.

KAY: Perfect then, follow me.

- Yes but, why are there no classes for the other group as well?

KAY: Another group? (smiles)


KAY: Honey, today is not only your birthday. Just come with me.

What is she up to?


KAY: Okay then, Carbon!


- Hello Carbon. It's been a while.

CARBON: Surprise. Present.

KAY: Well Lilly, I should congratulate you twice because, apart from being your birthday today, you are also qualified to train with everybody else! You did it. Congratulations!

- Really?! But I didn't even learn on how to properly use my power yet.

KAY: That was not the main goal Lilly. We tried to teach that no matter who you are, or the powers you might have, you still need to learn and be conscious about the world that surround us. Also, your physique and skill have significantly improved. I think you've learned a lot this passed two months, right?

- Yes... But what about Shion?

KAY: I have to tell you a little secret, he was actually ready time before you. But! He decided to stay with you and help you until you passed.

Did he really...?

KAY: But most importantly, we need to get you a sword! And that's were Carbon comes in.

CARBON: Yes. Here. Congratu... tu... lations.

She has a bare blade in her hands...

KAY: This will be the blade of your future sword. And here is the holster and handle that Shion made with the help of Carbon. They've been working for days so I hope you like it.

- I... Thank you very much!

KAY: I am looking forward to introducing the rest of the group. Now you will meet lots of people that are using Single-Style in the Kishi. Beware that some of them are way stronger than you two right now.

- I want to meet them as well!

KAY: Excellent. Now you can go see Shion and thank him properly. But after you leave, take something into account.

- What Kay?

KAY: Up until now, I've been going easy on you two. Anything you will face up until this point is the real challenge. You will be official Kishi members and become stronger in limits that you both couldn't imagine. The training will be much harder, and higher language and physics lesson will be imparted. Once you become either smart or skilled enough, your first rescue missions will begin. This will be a really tough process but, at the end, you might be able to face the ones that were behind your capture all by yourself. Will you be able to live up to my expectations Lilly?
